How many times have you turned down an invitation to a social activity or to just do something for fun because you just feel too busy or overwhelmed by what you already have to do?
What is your answer when asked the question, “How are you?” Your reply being “busy”.
It seems all too often in today’s world almost everyone is just too busy. Busy being the new status quo for “Just leave me alone”. “Can’t you see I don’t have time for this?” It like it has become somewhat of a competition that being busy has become an obsession or statement as to some type of success label. An obsession almost of self-importance because if you aren’t busy then you must be lazy a non-achiever.
Even if you love what you do, putting in long extended hours doing it without any integration of fun, spending time, loving and being with your family/friends. Allowing yourself time to just be, not always having to achieve but to give yourself permission and time to enjoy just who and where you are. If this time isn’t programmed into your life then the continual busyness and pressure to achieve will cause stress hormone levels to become and remain high. This then will set you up for a host of health concerns. You would have heard of the term – “People working themselves to death.” Every job, career or business even if this is your greatest passion and love will have various levels of stress. Doctors and health professionals are continually warning people about how too much busyness leads to serious health problems. Such as anxiety, depression, headaches, insomnia and heart attacks.
This lifestyle of busyness can come about quite gradually without realizing just how out of balance your life has become. You keep telling yourself things like: “People need me”: “What I do makes a difference”: Then there is the belief that as you continue to earn more money the more money that you come to believe you need. When in actual fact if you were to step back reassess you may well find that you don’t need as much money as you think or believe you need.
Then as the busyness increases so does the lack of exercise: eating nutritional and healthy food: not getting enough sleep because you are always thinking ahead of what you “Must” do next.
This then fosters the problem that you become too busy to be healthy. Then you begin to feel lousy, tired, lethargic, moody distancing yourself from people and becoming less productive. Therefore becoming overly frustrated because you aren’t accomplishing the things that you need to do.
So why do so many of us do this, it is fast becoming a huge problem with women taking up major roles in the corporate world. Burning the candle at both ends so to speak in the vortex of busyness to point of exhaustion and then the gradual breaking down physically and emotionally of their bodies.
Everyone needs nurturing, to be loved and to have people to love back. This is the very core of existence because without this the human body or person will shrivel up to only a resemblance of who they are or are to be.
This “Being of Busy” is an addiction that can be as challenging to bring to a stop as other addictions such as excessive consumption of alcohol, shopping, cigarette smoking, the continual need to work. As with any addiction it has become a way of life in order to escape or numb yourself from heartache, pain or the feelings of inadequacy or unworthiness.
In our Western society a high value has been put on being busy. You have been conditioned to believe that being busy equates to being a good person, worthy, successful and of somewhat important.
So how has all this busyness come about and how did you become conditioned with it. You may have had parents who worked long hours, were always engaged in endless jobs, chores and work. They may have exercised to the extremes on the weekends because of their job of sitting at a desk all week. Or maybe like me my parents didn’t ever really push themselves, lived a fairly sedentary life with my mother never holding down a job. This made me feel that I needed to do more.
So can you see how conditioning can begin even at an early age, putting patterns, thoughts into your subconscious as to later then the decisions you go on to make.
That if you are not busy or you are taking time to rest, be happy, enjoy your family there is a fear of being perceived as lazy or a failure. So therefore engaging in the balancing activities of rest, happiness and being has you feeling guilty.
But for most of you as you grow older these demands that you continue to place on yourself are not in line with your changing values and needs. These being taking time to prepare healthy meals, going for walks in nature, spending quality time with friends and family.
As I am sure that you can see by now the toll that this busyness takes on you is high, the biggest challenge for most of us is in changing this negative habit and learning how to stop being busy.
For many it can take a major crisis such as a health problem, meltdown or nervous breakdown to stop this continence of busyness.
Let’s look at ways to can Stop this Busyness
Without a major crisis to Bring balance back to life: Without bringing Harm and Devastation to your life
There is no one thing or anything that works for everyone when it comes to developing a healthy life balance between the continual busyness to one of relaxation, happiness and health.
Many times people will need to work long hours or several jobs to support their families. This is very much dependant on personal stamina. That depending what is going on at the time of your life, the permission for busy is OK. However on saying that there will still need to come a time that the busyness will have to be changed and brought into balance. Otherwise it will wear you down and bring about devastating problems for you.
Stop saying “I am too busy.” By repeatedly saying that you are busy, too busy, you are setting yourself up for being unable to slow down and to some extent fuelling your mind with the fact that everything is just too much. As Mahatma Gandhi said, “Your words become your actions, your actions become your habits.” Break the habit of saying you are busy.
Stop saying yes to everything: It is so easy to fall into the trap of becoming a people pleaser. That is if someone asks something of you, your automatic response is to say “Yes”. This doesn’t mean that you have to become difficult or never do anything for anyone. But it is about pacing yourself, understanding your priorities and allowing your answer to fit with that. It is OK to say “no” kindly but firmly without making excuses or playing the busy answer.
Don’t Become a Time Magnet: I don’t mean that you run late when making appointments, social engagements or being late for work. Don’t wear a watch. I am not advocating that you be late for work, social commitments or events. Don’t schedule more things into your day than you can physically or emotionally handle. Only have one or three things per day that has to be at a set time. Put these into your phone calendar with a reminder a half an hour before. This way to will naturally slow down. You will feel more thoughtful and begin to plan your days and plan out your life more effectively. This will allow unnecessary things to fall by the wayside allowing you to feel more in control able to handle your day’s events. Your body and biological processes function with a seasonal and daily rhythm by living less by the clock, this means cell phones, planners, to do lists, checking emails, apps and even playing mindless games. When this is STOPPED!! Monitored into a scheduled time or two during the day - No More. All of a sudden your life has become less busy.
Cancel or don’t accept unnecessary meetings or appointments. If it is a meeting or an appointment that isn’t directly associated with what you are doing or is necessary for wellbeing, then it is OK to cancel or not attend or make the appointment. You don’t have to give an excuse, if it doesn’t sit right in your gut and it isn’t vital to the next breath you are going to take then it is OK to cancel or postpone the meeting, appointment. Plan to attend meetings only if the agenda calls for making decisions and assigning tasks for follow-up. Be sure that you and the people involved understand the agenda or purpose of the meeting to help with decisions and task assignments to be made easier and more effectively. If a meeting or an appointment doesn’t meet these arrangements then remove yourself, this way other people within the group or team will appreciate your honesty and understand that for a meeting to take place all you want is to know what it is about and the purpose.
Make to-do lists and prioritize. Doing a to-do-list and having it a success can be daunting and somewhat of a challenge. A good rule of thumb is to make sure your daily to-do don’t exceed ten items. Even this can be a bit too much depending on the amount of time required for each to do item. So it is about being aware of what needs to be done that day without fail, what can be delegated and what can be divided up between other days, months and so on. You may well decide to do the washing but need your husband or children to hang it out.
The reason for the To Do list is so that prevent the things that you have in your mind that need doing, this can be overwhelming so by narrowing it down and prioritizing you will actually accomplish more and the things that aren’t a matter of life and death will wait, moving to a weekly or a long-term list. For example, if you have a deadline where something is due tomorrow, but you have a long list of small things such as vacuuming, grocery shopping, and taking out the rubbish ahead of finishing your project, you will end up working longer hours and placing more stress on yourself than necessary. So finishing the project is a priority, then perhaps the rubbish and then the other small jobs can be delegated or done throughout the week.
Be sure not to confuse goals with tasks. Goals take time and are part of your big picture, tasks are the things that you put into place to achieve your goals. Once again are done over a period of time incrementally. Prioritize what must get done today.
Play, have fun, act like a child. You have heard the saying, “laughter is the best medicine.”
Playing, adding humour to your day and acting like a child is all about finding fun just in everyday moments. It is a known fact that by including more fun into your daily life your health will improve. When people become overly stressed, there is a tendency to give up on things that they enjoy because of a level of guilt in that I haven’t finished that project or I haven’t earnt enough money or I >>>>>101 excuses to eliminate fun from life.
Playing around, having fun is both an important source of relaxation and stimulation. There is scientific evidence that shows laughter, having fun and engaging in play can relieve stress, increase brain function and improve creativity whilst improving relationships. So make it part of your daily to do list to include fun. Do something just because you can, not because you have to: Go to the park or shopping mall during your lunch break and watch small children. Go watch a happy, loving and fun movie. Read a great book. During life it can become so easy to forget what it is like to have fun because so many serious things have and are happening. But there is also a lot of great things that are also taking place, you just need to take a step back and see these. Having fun helps you to feel young and vibrant. George Bernard Shaw said, “We don’t stop playing because we grow old, we grow old because we stop playing.”
Get better quality sleep. This doesn’t necessarily mean getting more hours, unless you are sick or not getting enough. Improving your quality of sleep is vital for a healthy nervous system, energy and prevention of premature aging and disease. It is important to firstly to go to bed at the same time and to wake up at the same time each day. Turn off your TV, computer, phone and Wi-Fi at least 15 minutes before you go to bed; and stop eating and drinking anything with sugar, caffeine, or alcohol at least 2 hours before bed. The following day you will feel more alert, accomplish tasks more easily, you will feel happier and in able in a better mood, having energy for the things you love.
Be the First to Give Yourself Praise: The majority of us are all struggling with our own identity, the fact of “Are we good enough”. Most of the time if you are waiting for praise to come externally, you may well be waiting a long time, it will be spasmodically and at random. I know it used to be said that “Self-praise” was no recommendation. However if you are truly living in alignment to your values and are proud of who you are and the things you are doing you deserve to praise yourself. This isn’t about getting all egoistical but feeling good about you and what you are doing. Not that you are better than anyone else but that each of us are as good as one another with our own unique talents, gifts and attributes that we bring into the world.
A major part in breaking this busy cycle is firstly the belief that you are enough, allowing yourself to feel successful for just being you and to give yourself a pat on the back each day for the things you have accomplished no matter how small you may think they are. You did it! When we practice receiving in this way, we are able to move away from the thoughts and feelings of “there is too much to do, I will never get it all done” and toward knowing that “I am enough.” Acknowledge your accomplishments regularly and your feelings of unworthiness will melt away. You can do this by placing your hands over your heart and offering yourself praise. And remember when it’s all said and done, you don’t want your tombstone to read “she never got it done.”
(What comes next are materials data, not part of the piece)
********
[1]
InTe2Ru | the Alexandria database | GGA-PBE | optimized geometry; E = -18.26 eV/f.u.; crystal system = trigonal; E_form (uncorrected) = 0.01 eV per atom; M_tot = 0.000 μB/f.u.
1.0
2.1953 0.0000 9.4998
-1.0976 1.9011 9.4998
-1.0976 -1.9011 9.4998
Ru Te In
1 2 1
Direct
0.5000 0.5000 0.5000
0.8855 0.8855 0.8855
0.1145 0.1145 0.1145
0.0000 0.0000 0.0000



[2]
In2TeRu | the Alexandria database | GGA-PBE | optimized geometry; E = -18.04 eV/f.u.; crystal system = monoclinic; E_form (uncorrected) = -0.04 eV per atom; M_tot = 0.000 μB/f.u.
1.0
5.2303 0.0010 0.0376
4.2343 3.0703 0.0376
2.3248 0.7544 6.1084
In Ru Te
2 1 1
Direct
0.0088 0.0088 0.0233
0.1918 0.1918 0.3641
0.4601 0.4601 0.3887
0.8393 0.8393 0.7239



[3]
InTe2Ru | the Alexandria database | GGA-PBE | optimized geometry; E = -16.61 eV/f.u.; crystal system = monoclinic; E_form (uncorrected) = 0.42 eV per atom; M_tot = 0.372 μB/f.u.
1.0
5.0529 -0.0148 -0.0061
-1.4375 4.8442 -0.0061
1.8277 2.4413 4.0457
In Ru Te
1 1 2
Direct
0.5000 0.0000 0.5000
0.0000 0.5000 0.5000
0.0000 0.0000 0.0000
0.5000 0.5000 0.0000



[4]
InTe2Ru | the Alexandria database | GGA-PBE | optimized geometry; E = -16.40 eV/f.u.; crystal system = tetragonal; E_form (uncorrected) = 0.47 eV per atom; M_tot = 0.003 μB/f.u.
1.0
5.1490 0.0000 0.0000
0.0000 5.1490 0.0000
0.0000 0.0000 3.3944
In Ru Te
1 1 2
Direct
0.5000 0.0000 0.5000
0.0000 0.5000 0.5000
0.0000 0.0000 0.0000
0.5000 0.5000 0.0000


Record 1
A plane-wave DFT calculation with PBE was carried out for a relaxed structure of Pm7Sm4Er.

Cell and atoms, written as CIF:
```
data_Pm7Sm4Er
_space_group_name_H-M_alt 'P -1'
_space_group_IT_number 2
_cell_length_a 6.3322
_cell_length_b 7.3149
_cell_length_c 9.0457
_cell_angle_alpha 89.97
_cell_angle_beta 76.47
_cell_angle_gamma 89.99
loop_
_space_group_symop_operation_xyz
'x,y,z'
'-x,-y,-z'
loop_
_atom_site_label
_atom_site_type_symbol
_atom_site_fract_x
_atom_site_fract_y
_atom_site_fract_z
_atom_site_occupancy
Pm1 Pm 0.0000 0.0000 0.0000 1
Pm2 Pm 0.2214 0.5000 0.3330 1
Pm3 Pm 0.2778 0.2503 0.6687 1
Pm4 Pm 0.5002 0.2506 0.0000 1
Sm1 Sm 0.2231 0.0000 0.3333 1
Sm2 Sm 0.2777 0.7493 0.6692 1
Er1 Er 0.0000 0.5000 0.0000 1
```

## Properties
Density of states at the Fermi level (states/eV/cell): 15.3
Energy relative to the elements (eV/atom): 0.010

Record 2
A plane-wave DFT calculation with PBE was carried out for a relaxed structure of Tb2UCuS5.

Cell and atoms, written as CIF:
```
data_Tb2UCuS5
_space_group_name_H-M_alt 'C m c 21'
_space_group_IT_number 36
_cell_length_a 3.7987
_cell_length_b 17.0486
_cell_length_c 11.4208
_cell_angle_alpha 90.00
_cell_angle_beta 90.00
_cell_angle_gamma 90.00
loop_
_space_group_symop_operation_xyz
'x,y,z'
'-x,-y,z+1/2'
'-x,y,z'
'x,-y,z+1/2'
'x+1/2,y+1/2,z'
'-x+1/2,-y+1/2,z+1/2'
'-x+1/2,y+1/2,z'
'x+1/2,-y+1/2,z+1/2'
loop_
_atom_site_label
_atom_site_type_symbol
_atom_site_fract_x
_atom_site_fract_y
_atom_site_fract_z
_atom_site_occupancy
Tb1 Tb 0.0000 0.1037 0.0000 1
Tb2 Tb 0.0000 0.1184 0.6265 1
********
Love, Forgiveness and Kindness: These are the very core foundations to success and require very little doing, but a great deal of being. Each and every one of us has made mistakes, spoken how we may not have wanted to speak, done what we may not have wanted to done, been whom someone we may not have wanted to be. Understanding this and realizing these things is the foundation to change and becoming the person whom we do want to BE! So love yourself, forgive yourself and be kind to yourself. This in turn will allow you to do this with others, bringing Peace, Harmony, Love and Kindness within your world.
Further Support
How Not to Let Stress Get the Better of YOU!

Author's Bio: 

Julie Doherty is acknowledged as Worldwide Leader in Naturopathic Medicine by The Leading Physicians of the world.
Julie is an exceptionally experienced Naturopathic Practitioner with vast expertise in Traditional medicine, Herbal & Homeopathic medicine: Massage & Beauty Therapy
Julie being the sole practitioner and owner of - Julie's Naturopathic Health Care Services – Established since 1990
Julie's private practice is located in Hackham, South Australia, Australia
Julie has an extensive Herbal & Homeopathic dispensary: Enabling her to prescribe & formulate at the time of consultation a medicine that is as individual for each client as are their health concerns.
Julie remains loyal & true to the very core Foundations of Naturopathic Medicine to bring back health, balance & harmony with all body systems working in unison together. Treatments, Medicines & Therapies that will "Do No Harm"
Providing support bringing about improved Lifestyle and Living habits.
Julie graduated with distinctions from S.A. College of Botanical Medicine and Natural Therapies & is an accredited member of the Australian Traditional Medicine Society.
Julie’s Professional qualifications include Diplomas in Naturopathic, Herbal Homeopathic Medicines: Nutrition, Remedial & Therapeutic Massage Therapy
Julie credits her success to determination to want to provide significant changes to people's lives. Especially with providing a strong foundation for her family.